### Contents
********
VASP calculation (PBE-GGA) on Na6Ti2Zn2Si3S3O24 after structural relaxation.

Cell: 8.9678 8.9758 22.0990 Å, 89.84 91.08 119.46°
Element x y z (fractional)
Na 0.3722 0.3547 0.2459
Na 0.9958 0.6327 0.2418
Na 0.9868 0.3552 0.7459
Na 0.3801 0.0236 0.7465
Na 0.2986 0.3374 0.5807
Na 0.6567 0.9722 0.5890
Na 0.3054 0.9574 0.0744
Na 0.6568 0.6876 0.0823
Na 0.9823 0.6810 0.9170
Na 0.3200 0.2864 0.9091
Na 0.9817 0.3014 0.4230
Na 0.3248 0.0384 0.4139
Na 0.0037 0.9929 0.5021
Na 0.0000 0.0100 0.9927
Na 0.6577 0.3204 0.8252
Na 0.6539 0.3261 0.3306
Na 0.3219 0.6574 0.1583
Na 0.3219 0.6643 0.6608
Ti 0.0060 0.0276 0.6479
Ti 0.0225 0.9954 0.1416
Ti 0.6492 0.3244 0.9833
Ti 0.6460 0.3281 0.4891
Ti 0.3434 0.6702 0.3154
Ti 0.3563 0.6888 0.8077
Zn 0.0209 0.0141 0.3479
Zn 0.0186 0.0123 0.8442
Zn 0.6581 0.3138 0.6844
Zn 0.6565 0.3267 0.1781
Zn 0.3046 0.6552 0.0181
Zn 0.3059 0.6486 0.5220
Si 0.3077 0.0010 0.2523
Si 0.3061 0.3068 0.7535
Si 0.7173 0.0010 0.7516
Si 0.9549 0.3380 0.5865
Si 0.3589 0.0236 0.5858
Si 0.9538 0.6141 0.0874
Si 0.3701 0.3413 0.0850
Si 0.3348 0.9592 0.9185
Si 0.3387 0.3754 0.4190
S 0.7091 0.7169 0.2517
S 0.9991 0.2912 0.2514
S 0.0009 0.7096 0.7517
S 0.6744 0.6289 0.5846
S 0.6749 0.0445 0.0841
S 0.6254 0.6660 0.9185
S 0.0342 0.3723 0.9166
S 0.6292 0.9593 0.4171
S 0.0369 0.6645 0.4143
O 0.2213 0.0313 0.3106
O 0.8138 0.8056 0.3052
O 0.9775 0.1973 0.3085
O 0.2349 0.1885 0.8124
O 0.9819 0.7800 0.8093
O 0.8319 0.0256 0.8101
O 0.8029 0.9699 0.6890
O 0.1657 0.2063 0.6933
O 0.0296 0.8251 0.6997
O 0.7835 0.8136 0.1952
O 0.0227 0.2011 0.1993
O 0.1701 0.9658 0.1919
O 0.8727 0.3616 0.6461
O 0.4773 0.1052 0.6446
O 0.6472 0.5224 0.6380
O 0.8719 0.5168 0.1491
O 0.6436 0.1175 0.1385
O 0.4771 0.3716 0.1471
O 0.4636 0.2946 0.0271
O 0.8256 0.5215 0.0271
O 0.6965 0.1543 0.0299
O 0.4598 0.1672 0.5262
O 0.6904 0.5350 0.5289
O 0.8279 0.3078 0.5239
O 0.5507 0.6859 0.9737
O 0.1451 0.4498 0.9706
O 0.3084 0.8496 0.9788
O 0.5545 0.8640 0.4717
O 0.3067 0.4655 0.4754
O 0.1485 0.7000 0.4678
O 0.1252 0.6408 0.3593
O 0.5089 0.8677 0.3626
O 0.3573 0.5014 0.3578
O 0.1135 0.4786 0.8619
O 0.3576 0.8582 0.8585
O 0.5109 0.6388 0.8643
O 0.0105 0.8133 0.4074
O 0.8013 0.9835 0.4077
O 0.1675 0.1846 0.4138
O 0.0129 0.1992 0.9129
O 0.1654 0.9842 0.9138
O 0.8002 0.8083 0.9119
O 0.9584 0.1491 0.5862
O 0.1750 0.0226 0.5882
O 0.8317 0.7970 0.5851
O 0.9590 0.8112 0.0906
O 0.8331 0.0292 0.0891
O 0.1821 0.1561 0.0897
O 0.6862 0.1634 0.7492
O 0.4910 0.3287 0.7421
O 0.8563 0.5363 0.7449
O 0.6896 0.5427 0.2503
O 0.8554 0.3245 0.2458
O 0.4912 0.1700 0.2444
O 0.6344 0.4983 0.9203
O 0.8647 0.3678 0.9228
O 0.5107 0.1555 0.9242
O 0.6384 0.1324 0.4171
O 0.5125 0.3528 0.4204
O 0.8718 0.5012 0.4178
O 0.3627 0.5136 0.0734
O 0.1527 0.6690 0.0840
O 0.5268 0.8706 0.0768
O 0.3636 0.8505 0.5715
O 0.5233 0.6515 0.5761
O 0.1526 0.4834 0.5828
O 0.3037 0.8129 0.2582
O 0.5290 0.6941 0.2553
O 0.1651 0.4659 0.2545
O 0.2952 0.4860 0.7600
O 0.1658 0.6958 0.7546
O 0.5183 0.8255 0.7550

**Energy with MP2020 corrections**: -0.500 Ry per atom

VASP calculation (PBE-GGA) on Cs2KCrC6N6 after structural relaxation.

Cell: 8.4280 7.8366 13.7765 Å, 56.00 90.00 90.00°
Element x y z (fractional)
Cs 0.0771 0.2784 0.2475
Cs 0.4229 0.2784 0.7475
Cs 0.9229 0.7216 0.7525
Cs 0.5771 0.7216 0.2525
K 0.0000 0.5000 0.5000
K 0.5000 0.5000 0.0000
Cr 0.5000 0.0000 0.5000
Cr 0.0000 0.0000 0.0000
C 0.3718 0.2502 0.4639
C 0.1282 0.2502 0.9639
C 0.6282 0.7498 0.5361
C 0.8718 0.7498 0.0361
C 0.7038 0.1715 0.4538
C 0.7962 0.1715 0.9538
C 0.2962 0.8285 0.5462
C 0.2038 0.8285 0.0462
C 0.4721 0.0875 0.3307
C 0.0279 0.0875 0.8307
C 0.5279 0.9125 0.6693
C 0.9721 0.9125 0.1693
N 0.2983 0.3953 0.4421
N 0.2017 0.3953 0.9421
N 0.7017 0.6047 0.5579
N 0.7983 0.6047 0.0579
N 0.8193 0.2730 0.4256
N 0.6807 0.2730 0.9256
N 0.1807 0.7270 0.5744
N 0.3193 0.7270 0.0744
N 0.4532 0.1383 0.2334
N 0.0468 0.1383 0.7334
N 0.5468 0.8617 0.7666
N 0.9532 0.8617 0.2666

**Energy with MP2020 corrections**: -0.563 Ry per atom
********

### Request
It remains to repeat the whole of the material above verbatim.

### Reply
VASP calculation (PBE-GGA) on Na6Ti2Zn2Si3S3O24 after structural relaxation.

Cell: 8.9678 8.9758 22.0990 Å, 89.84 91.08 119.46°
Element x y z (fractional)
Na 0.3722 0.3547 0.2459
Na 0.9958 0.6327 0.2418
Na 0.9868 0.3552 0.7459
Na 0.3801 0.0236 0.7465
Na 0.2986 0.3374 0.5807
Na 0.6567 0.9722 0.5890
Na 0.3054 0.9574 0.0744
Na 0.6568 0.6876 0.0823
Na 0.9823 0.6810 0.9170
Na 0.3200 0.2864 0.9091
Na 0.9817 0.3014 0.4230
Na 0.3248 0.0384 0.4139
Na 0.0037 0.9929 0.5021
Na 0.0000 0.0100 0.9927
Na 0.6577 0.3204 0.8252
Na 0.6539 0.3261 0.3306
Na 0.3219 0.6574 0.1583
Na 0.3219 0.6643 0.6608
Ti 0.0060 0.0276 0.6479
Ti 0.0225 0.9954 0.1416
Ti 0.6492 0.3244 0.9833
Ti 0.6460 0.3281 0.4891
Ti 0.3434 0.6702 0.3154
Ti 0.3563 0.6888 0.8077
Zn 0.0209 0.0141 0.3479
Zn 0.0186 0.0123 0.8442
Zn 0.6581 0.3138 0.6844
Zn 0.6565 0.3267 0.1781
Zn 0.3046 0.6552 0.0181
Zn 0.3059 0.6486 0.5220
Si 0.3077 0.0010 0.2523
Si 0.3061 0.3068 0.7535
Si 0.7173 0.0010 0.7516
Si 0.9549 0.3380 0.5865
Si 0.3589 0.0236 0.5858
Si 0.9538 0.6141 0.0874
Si 0.3701 0.3413 0.0850
Si 0.3348 0.9592 0.9185
Si 0.3387 0.3754 0.4190
S 0.7091 0.7169 0.2517
S 0.9991 0.2912 0.2514
S 0.0009 0.7096 0.7517
S 0.6744 0.6289 0.5846
S 0.6749 0.0445 0.0841
S 0.6254 0.6660 0.9185
S 0.0342 0.3723 0.9166
S 0.6292 0.9593 0.4171
S 0.0369 0.6645 0.4143
O 0.2213 0.0313 0.3106
O 0.8138 0.8056 0.3052
O 0.9775 0.1973 0.3085
O 0.2349 0.1885 0.8124
O 0.9819 0.7800 0.8093
O 0.8319 0.0256 0.8101
O 0.8029 0.9699 0.6890
O 0.1657 0.2063 0.6933
O 0.0296 0.8251 0.6997
O 0.7835 0.8136 0.1952
O 0.0227 0.2011 0.1993
O 0.1701 0.9658 0.1919
O 0.8727 0.3616 0.6461
O 0.4773 0.1052 0.6446
O 0.6472 0.5224 0.6380
O 0.8719 0.5168 0.1491
O 0.6436 0.1175 0.1385
O 0.4771 0.3716 0.1471
O 0.4636 0.2946 0.0271
O 0.8256 0.5215 0.0271
O 0.6965 0.1543 0.0299
O 0.4598 0.1672 0.5262
O 0.6904 0.5350 0.5289
O 0.8279 0.3078 0.5239
O 0.5507 0.6859 0.9737
O 0.1451 0.4498 0.9706
O 0.3084 0.8496 0.9788
O 0.5545 0.8640 0.4717
O 0.3067 0.4655 0.4754
O 0.1485 0.7000 0.4678
O 0.1252 0.6408 0.3593
O 0.5089 0.8677 0.3626
O 0.3573 0.5014 0.3578
O 0.1135 0.4786 0.8619
O 0.3576 0.8582 0.8585
O 0.5109 0.6388 0.8643
O 0.0105 0.8133 0.4074
O 0.8013 0.9835 0.4077
O 0.1675 0.1846 0.4138
O 0.0129 0.1992 0.9129
O 0.1654 0.9842 0.9138
O 0.8002 0.8083 0.9119
O 0.9584 0.1491 0.5862
O 0.1750 0.0226 0.5882
O 0.8317 0.7970 0.5851
O 0.9590 0.8112 0.0906
O 0.8331 0.0292 0.0891
O 0.1821 0.1561 0.0897
O 0.6862 0.1634 0.7492
O 0.4910 0.3287 0.7421
O 0.8563 0.5363 0.7449
O 0.6896 0.5427 0.2503
O 0.8554 0.3245 0.2458
O 0.4912 0.1700 0.2444
O 0.6344 0.4983 0.9203
O 0.8647 0.3678 0.9228
O 0.5107 0.1555 0.9242
O 0.6384 0.1324 0.4171
O 0.5125 0.3528 0.4204
O 0.8718 0.5012 0.4178
O 0.3627 0.5136 0.0734
O 0.1527 0.6690 0.0840
O 0.5268 0.8706 0.0768
O 0.3636 0.8505 0.5715
O 0.5233 0.6515 0.5761
O 0.1526 0.4834 0.5828
O 0.3037 0.8129 0.2582
O 0.5290 0.6941 0.2553
O 0.1651 0.4659 0.2545
O 0.2952 0.4860 0.7600
O 0.1658 0.6958 0.7546
O 0.5183 0.8255 0.7550

**Energy with MP2020 corrections**: -0.500 Ry per atom

VASP calculation (PBE-GGA) on Cs2KCrC6N6 after structural relaxation.

Cell: 8.4280 7.8366 13.7765 Å, 56.00 90.00 90.00°
Element x y z (fractional)
Cs 0.0771 0.2784 0.2475
Cs 0.4229 0.2784 0.7475
Cs 0.9229 0.7216 0.7525
Cs 0.5771 0.7216 0.2525
K 0.0000 0.5000 0.5000
K 0.5000 0.5000 0.0000
Cr 0.5000 0.0000 0.5000
Cr 0.0000 0.0000 0.0000
C 0.3718 0.2502 0.4639
C 0.1282 0.2502 0.9639
C 0.6282 0.7498 0.5361
C 0.8718 0.7498 0.0361
C 0.7038 0.1715 0.4538
C 0.7962 0.1715 0.9538
C 0.2962 0.8285 0.5462
C 0.2038 0.8285 0.0462
C 0.4721 0.0875 0.3307
C 0.0279 0.0875 0.8307
C 0.5279 0.9125 0.6693
C 0.9721 0.9125 0.1693
N 0.2983 0.3953 0.4421
N 0.2017 0.3953 0.9421
N 0.7017 0.6047 0.5579
N 0.7983 0.6047 0.0579
N 0.8193 0.2730 0.4256
N 0.6807 0.2730 0.9256
N 0.1807 0.7270 0.5744
N 0.3193 0.7270 0.0744
N 0.4532 0.1383 0.2334
N 0.0468 0.1383 0.7334
N 0.5468 0.8617 0.7666
N 0.9532 0.8617 0.2666

**Energy with MP2020 corrections**: -0.563 Ry per atom